-- Material --
~~~
[1]
A relaxed HoTiHg2 crystal. Source: the Alexandria database, functional PBE.

Unit cell a=5.0190 b=5.0190 c=5.0190 alpha=60.00 beta=60.00 gamma=60.00
With the nearest neighbours (Å) after each atom.
Fractional coordinates of all 4 atoms:
Ho (0.0000, 0.0000, 0.0000)  8 Hg 3.07
Ti (0.5000, 0.5000, 0.5000)  8 Hg 3.07
Hg (0.2500, 0.2500, 0.2500)  4 Ho 3.07, 4 Ti 3.07
Hg (0.7500, 0.7500, 0.7500)  4 Ho 3.07, 4 Ti 3.07

## Properties
Calculated volume   89.4 Å³/cell
Total moment   0.42 μB/atom
Space-group type   Fm-3m
Energy above the most stable polymorph in this dataset   0.000 eV/atom
Formation enthalpy at 0 K   -187 meV/atom

=====

[2]
A relaxed Sc6CuS5 crystal. Source: the Alexandria database, functional PBE.

Unit cell a=6.4185 b=6.4185 c=6.4039 alpha=99.63 beta=99.63 gamma=120.13
With the nearest neighbours (Å) after each atom.
Fractional coordinates of all 12 atoms:
Sc (0.0815, 0.4181, 0.7507)  5 S 2.60-2.63, 1 Cu 2.63
Sc (0.2484, 0.2484, 0.2504)  5 S 2.60-2.63, 1 Cu 2.63
Sc (0.4181, 0.0815, 0.7507)  5 S 2.60-2.63, 1 Cu 2.63
Sc (0.5819, 0.9185, 0.2493)  5 S 2.60-2.63, 1 Cu 2.63
Sc (0.7516, 0.7516, 0.7496)  5 S 2.60-2.63, 1 Cu 2.63
Sc (0.9185, 0.5819, 0.2493)  5 S 2.60-2.63, 1 Cu 2.63
Cu (0.5000, 0.5000, 0.0000)  6 Sc 2.63
S (0.0000, 0.0000, 0.5000)  6 Sc 2.61-2.63
S (0.1656, 0.8344, 0.0000)  6 Sc 2.60-2.61
S (0.3322, 0.6678, 0.5000)  6 Sc 2.60-2.63
S (0.6678, 0.3322, 0.5000)  6 Sc 2.60-2.63
S (0.8344, 0.1656, 0.0000)  6 Sc 2.60-2.61

## Properties
Total energy   -6.825 eV/atom
Calculated volume   215.0 Å³/cell
Total moment   0.00 μB/atom
Space-group type   C2/m

=====

[3]
A relaxed Rb3NpAg2I9 crystal. Source: the Alexandria database, functional PBE.

Unit cell a=8.5722 b=8.5722 c=10.5337 alpha=90.00 beta=90.00 gamma=120.00
With the nearest neighbours (Å) after each atom.
Fractional coordinates of all 15 atoms:
Rb (0.0000, 0.0000, 0.0000)  12 I 4.29-4.30
Rb (0.3333, 0.6667, 0.7254)  3 I 3.81
Rb (0.6667, 0.3333, 0.2746)  3 I 3.81
Np (0.0000, 0.0000, 0.5000)  6 I 3.02
Ag (0.3333, 0.6667, 0.1445)  6 I 2.91-3.19
Ag (0.6667, 0.3333, 0.8555)  6 I 2.91-3.19
I (0.0000, 0.5000, 0.0000)  2 Ag 2.91
I (0.1657, 0.3315, 0.3343)  1 Np 3.02, 1 Ag 3.19
I (0.1657, 0.8343, 0.3343)  1 Np 3.02, 1 Ag 3.19
I (0.3315, 0.1657, 0.6657)  1 Np 3.02, 1 Ag 3.19
I (0.5000, 0.0000, 0.0000)  2 Ag 2.91
I (0.5000, 0.5000, 0.0000)  2 Ag 2.91
I (0.6685, 0.8343, 0.3343)  1 Np 3.02, 1 Ag 3.19
I (0.8343, 0.1657, 0.6657)  1 Np 3.02, 1 Ag 3.19
I (0.8343, 0.6685, 0.6657)  1 Np 3.02, 1 Ag 3.19

## Properties
Total energy   -3.254 eV/atom
Calculated volume   670.3 Å³/cell
Total moment   0.20 μB/atom
Space-group type   P-3m1

=====

[4]
A relaxed Y12Sc3Hg5 crystal. Source: the Alexandria database, functional PBE.

Unit cell a=15.5221 b=15.5221 c=15.5221 alpha=109.47 beta=109.47 gamma=109.47
With the nearest neighbours (Å) after each atom.
Fractional coordinates of all 80 atoms:
Y (0.0559, 0.2215, 0.1301)  2 Hg 2.96-2.98, 1 Sc 3.20
Y (0.0559, 0.3344, 0.9258)  2 Hg 2.96-2.98, 1 Sc 3.20
Y (0.0742, 0.6301, 0.4086)  2 Hg 2.96-2.98, 1 Sc 3.20
Y (0.0742, 0.9441, 0.6656)  2 Hg 2.96-2.98, 1 Sc 3.20
Y (0.0914, 0.7215, 0.6656)  2 Hg 2.96-2.98, 1 Sc 3.20
Y (0.0914, 0.8699, 0.4258)  2 Hg 2.96-2.98, 1 Sc 3.20
Y (0.1301, 0.0559, 0.2215)  2 Hg 2.96-2.98, 1 Sc 3.20
Y (0.1301, 0.5742, 0.9086)  2 Hg 2.96-2.98, 1 Sc 3.20
Y (0.1656, 0.2215, 0.5914)  2 Hg 2.96-2.98, 1 Sc 3.20
Y (0.1656, 0.4441, 0.5742)  2 Hg 2.96-2.98, 1 Sc 3.20
Y (0.2215, 0.1301, 0.0559)  2 Hg 2.96-2.98, 1 Sc 3.20
Y (0.2215, 0.5914, 0.1656)  2 Hg 2.96-2.98, 1 Sc 3.20
Y (0.2785, 0.3344, 0.9086)  2 Hg 2.96-2.98, 1 Sc 3.20
Y (0.2785, 0.4441, 0.3699)  2 Hg 2.96-2.98, 1 Sc 3.20
Y (0.3344, 0.9086, 0.2785)  2 Hg 2.96-2.98, 1 Sc 3.20
Y (0.3344, 0.9258, 0.0559)  2 Hg 2.96-2.98, 1 Sc 3.20
Y (0.3699, 0.2785, 0.4441)  2 Hg 2.96-2.98, 1 Sc 3.20
Y (0.3699, 0.5914, 0.9258)  2 Hg 2.96-2.98, 1 Sc 3.20
Y (0.4086, 0.0742, 0.6301)  2 Hg 2.96-2.98, 1 Sc 3.20
Y (0.4086, 0.8344, 0.7785)  2 Hg 2.96-2.98, 1 Sc 3.20
~~~
-- To do --
Next, type out only the lines above with the word "polymorph" in them.
-- Worked solution --
Energy above the most stable polymorph in this dataset   0.000 eV/atom